The Emerde Project


  Emerde 1.2.7 Beta release
		     [[[ Emerde 1.2.7 "BETA" release ]]]
		:: Ultimate packages solution for Slackware ::

What comes next are records of crystals, not part of the piece:
┌──
# 1
Compound: AgCSe2
Source: Alexandria via LeMat-Bulk
Functional: PBE
Structure: relaxed

## Properties
- Total energy: -15.67 eV per formula unit
- Uncorrected formation energy: 19.433 kcal/mol of atoms

a = 5.6161 Å, b = 5.6161 Å, c = 6.5635 Å
α = 64.67°, β = 64.67°, γ = 90.00°
With the nearest neighbours (Å) after each atom.
Positions (direct):
C1 0.2500 0.7500 0.5000  4 Se 2.14
Se1 0.2057 0.6250 0.2500  2 C 2.14
Se2 0.3750 0.4557 0.7500  2 C 2.14
C2 0.5000 0.5000 0.0000  4 Se 2.14
Ag1 0.7500 0.2500 0.5000  4 Se 2.67
Ag2 0.0000 0.0000 0.0000  4 Se 2.67
Se3 0.8750 0.7943 0.7500  2 C 2.14
Se4 0.5443 0.1250 0.2500  2 C 2.14



# 2
Compound: Ce2ClF4
Source: Alexandria via LeMat-Bulk
Functional: PBE
Structure: relaxed

## Properties
- Total energy: -44.98 eV per formula unit
- Uncorrected formation energy: -78.338 kcal/mol of atoms

a = 3.8010 Å, b = 7.8792 Å, c = 7.8792 Å
α = 90.00°, β = 90.00°, γ = 90.00°
With the nearest neighbours (Å) after each atom.
Positions (direct):
F1 0.0000 0.6881 0.9259  3 Ce 2.47-2.48, 1 F 2.65
Ce1 0.5000 0.7276 0.7276  6 F 2.47-2.48
F2 0.5000 0.4259 0.8119  3 Ce 2.47-2.48, 1 F 2.65
F3 0.5000 0.1881 0.5741  3 Ce 2.47-2.48, 1 F 2.65
Ce2 0.0000 0.7724 0.2276  6 F 2.47-2.48
F4 0.0000 0.9259 0.6881  3 Ce 2.47-2.48, 1 F 2.65
Cl1 0.5000 0.0000 0.0000  6 Ce 3.04-3.17, 8 F 3.16
F5 0.5000 0.5741 0.1881  3 Ce 2.47-2.48, 1 F 2.65
F6 0.0000 0.3119 0.0741  3 Ce 2.47-2.48, 1 F 2.65
F7 0.0000 0.0741 0.3119  3 Ce 2.47-2.48, 1 F 2.65
Cl2 0.0000 0.5000 0.5000  6 Ce 3.04-3.17, 8 F 3.16
F8 0.5000 0.8119 0.4259  3 Ce 2.47-2.48, 1 F 2.65
Ce3 0.0000 0.2276 0.7724  6 F 2.47-2.48
Ce4 0.5000 0.2724 0.2724  6 F 2.47-2.48



# 3
Compound: Li2CaP
Source: Alexandria via LeMat-Bulk
Functional: PBE
Structure: relaxed

## Properties
- Energy of formation: -0.48 eV per atom
- Total energy: -13.17 eV per formula unit

a = 4.5592 Å, b = 4.1359 Å, c = 4.1359 Å
α = 90.00°, β = 90.00°, γ = 90.00°
With the nearest neighbours (Å) after each atom.
Positions (direct):
Ca1 0.5000 0.0000 0.5000  4 P 2.92, 8 Li 3.08
P1 0.5000 0.5000 0.0000  4 Ca 2.92, 8 Li 3.08
Li1 0.0000 0.5000 0.5000  4 Li 2.92, 4 Ca 3.08, 4 P 3.08
Li2 0.0000 0.0000 0.0000  4 Li 2.92, 4 Ca 3.08, 4 P 3.08



# 4
Compound: Nd3SmAu3
Source: Alexandria via LeMat-Bulk
Functional: PBE
Structure: relaxed

## Properties
- Energy of formation: -0.59 eV per atom
- Total energy: -32.97 eV per formula unit

a = 7.3709 Å, b = 7.3709 Å, c = 7.4097 Å
α = 90.89°, β = 90.89°, γ = 96.82°
With the nearest neighbours (Å) after each atom.
Positions (direct):
Au1 0.9338 0.9338 0.1875  2 Sm 2.97-3.19, 5 Nd 3.09-3.21, 1 Au 3.09
Nd1 0.8227 0.1773 0.5000  6 Au 2.99-3.15
Sm1 0.7437 0.7437 0.8695  4 Au 2.91-3.19
Nd2 0.1773 0.8227 0.5000  6 Au 2.99-3.15
Au2 0.4961 0.9886 0.7265  1 Sm 2.91, 5 Nd 2.99-3.20
Au3 0.9886 0.4961 0.7265  1 Sm 2.91, 5 Nd 2.99-3.20
Au4 0.5039 0.0114 0.2735  1 Sm 2.91, 5 Nd 2.99-3.20
Au5 0.0114 0.5039 0.2735  1 Sm 2.91, 5 Nd 2.99-3.20
Nd3 0.6468 0.6468 0.3676  3 Au 3.09-3.14
└──

Emerde is the port of Gentoo's portage system that installs, removes, updates, 
maintains your system rapidly and easily. Furthermore on Slackware distribution it 
cooperates with the Slackware's db and allows to install .tgz files directly, using
dependences checking.

If you want to port it for other distros follow the instructions at the end of the README.

You can do whatever you want to do with Emerde, feel free to use it
on your own.

please report any bug to the mailinglist or if you wish to

To install Emerde read the INSTALL file.
To upgrade your slackware-emerde distro read SLACK-UPGRADE

***** What's more in Emerde

These are the additional features added in emerde:
invulnerable:	Updates all the packages which have suid binaries.
		Slackware configuration file updates handler.
quicksearch:	The cp_all function in Emerde is rewritten to use /var/cadb, there's a 
		significant improvement in all the functions that use cp_all (--search, 
		sync, update cache etc...)
skipit:		Emerde allows you to skip to the next merge with the SIGINT signal or by 
		pressing CTRL+c.
Compilation resume:
		Emerde resumes an interrupted or aborted compilation without rebuild
		the pkg and restart the compilation.
LAN-sync:	The syncing of the portage can be done using another machine that had 
		already done it. See ACTION:sync in the emerge(1) man page.
		Emerde matches the search string against the contents field. The pkg's 
	 	contents field  contains  a  list  of files  and  directories  installed.
		This  option is useful to know to what pkg a file or a directory belong.
--showcontents: This option is the same as the --search one execpt that it shows  all the
		contents file of the searched packages.
		It filter only installed pkg in the search result.
buildworld:	Rebuilds or updates the "world" file (/var/cache/edb/world)
sync-cat:	Sync a desidered category or package with the gentoo repository.
por2pkg:	por2pkg converts entries in the portage's db to Slack's db entries.
pkg2por:	pkg2por converts entries in the Slack's db to portage's db entries.
pordbcheck:	Checks if the programs listed in the portage's db are really installed.
initd-cfg:	/etc/init.d editor.

To know how to use the various utilities and features see also the readmes in doc/
and the relatives man pages:
emerge(1), por2pkg(1), pkg2por(1), buildworld(1), update-emerde(1), pordbcheck(1),
initd-cfg(1), rc.emerde(1), invulnerable(1), slack-etc-update(1), sync-cat(1).

***** Porting Emerde to other distros

  If you want to port Emerde into other system you must have all the packages of your
  system updated (Glibc 2.3.2, Gcc 3.2.3, etc...) then you want to reflect the system
  configuration editing the conf files that the install script shows to you.
  Then run " --noslack", follow the install instructions,
  cross your fingers and Enjoy it! (^_^)

Note: You must have python major to 2.2.1 installed in your system.
    : Emerde in this moment was tested in Slack 9.1/9.0, Mandrake, Redhat 8.0/9.0 and fedora
    : linux so if you successfull port it to other system let us know
Slack 9.0 note: You have to update coreutils
# wget
# installpkg coreutils-5.0-i486-4.tgz
***** Where to find us

  Subscrive to the emerde mailing list:

  IRCnet: #emerde

Emerde is ported by:

Between two parts of the piece: records of crystals:
/*
# PBE-GGA Lu2Sb3W4N3, relaxed
data_Lu2Sb3W4N3
_cell_length_a 10.1390
_cell_length_b 5.9669
_cell_length_c 13.1993
_cell_angle_alpha 90.00
_cell_angle_beta 103.97
_cell_angle_gamma 90.00
_symmetry_space_group_name_H-M 'C 1 2/c 1'
_symmetry_Int_Tables_number 15
_symmetry_space_group_name_Hall '-C 2yc'
loop_
_atom_site_label
_atom_site_fract_x
_atom_site_fract_y
_atom_site_fract_z
_atom_site_occupancy
Lu1 0.0560 0.0846 0.4027 1
Sb1 0.0000 0.4441 0.2500 1
Sb2 0.1828 0.1097 0.7449 1
W1 0.1048 0.4344 0.5759 1
W2 0.2149 0.4144 0.9260 1
N1 0.0808 0.2426 0.0003 1
N2 0.2500 0.2500 0.5000 1
# electronic total energy	-8.369	eV/atom
# magnetization	0.0003	μB/atom
# density	12.8	g/cm³


# PBE-GGA Lu4Sb3W2N3, relaxed
data_Lu4Sb3W2N3
_cell_length_a 10.5312
_cell_length_b 6.0326
_cell_length_c 13.6356
_cell_angle_alpha 90.00
_cell_angle_beta 103.97
_cell_angle_gamma 90.00
_symmetry_space_group_name_H-M 'C 1 2/c 1'
_symmetry_Int_Tables_number 15
_symmetry_space_group_name_Hall '-C 2yc'
loop_
_atom_site_label
_atom_site_fract_x
_atom_site_fract_y
_atom_site_fract_z
_atom_site_occupancy
Lu1 0.1125 0.0915 0.0894 1
Lu2 0.2239 0.0747 0.4105 1
Sb1 0.0000 0.1158 0.7500 1
Sb2 0.1517 0.4300 0.2533 1
W1 0.0423 0.4336 0.9231 1
N1 0.0878 0.2400 0.5007 1
N2 0.2500 0.2500 0.0000 1
# electronic total energy	-7.488	eV/atom
# magnetization	0.0006	μB/atom
# density	11.7	g/cm³


# PBE-GGA Y2Lu4Sb3N3, relaxed
data_Y2Lu4Sb3N3
_cell_length_a 10.5470
_cell_length_b 6.0951
_cell_length_c 15.0073
_cell_angle_alpha 90.00
_cell_angle_beta 103.61
_cell_angle_gamma 90.00
_symmetry_space_group_name_H-M 'C 1 2/c 1'
_symmetry_Int_Tables_number 15
_symmetry_space_group_name_Hall '-C 2yc'
loop_
_atom_site_label
_atom_site_fract_x
_atom_site_fract_y
_atom_site_fract_z
_atom_site_occupancy
Y1 0.0513 0.0826 0.4075 1
Lu1 0.1116 0.4144 0.5848 1
Lu2 0.2226 0.4177 0.9152 1
Sb1 0.0000 0.4390 0.2500 1
Sb2 0.1779 0.0938 0.7506 1
N1 0.0863 0.2588 0.0000 1
N2 0.2500 0.2500 0.5000 1
# electronic total energy	-6.909	eV/atom
# magnetization	0.0005	μB/atom
# density	9.1	g/cm³


# PBE-GGA Lu2Zr4Sb3N3, relaxed
data_Lu2Zr4Sb3N3
_cell_length_a 10.3295
_cell_length_b 5.9881
_cell_length_c 14.3677
_cell_angle_alpha 90.00
_cell_angle_beta 103.89
_cell_angle_gamma 90.00
_symmetry_space_group_name_H-M 'C 1 2/c 1'
_symmetry_Int_Tables_number 15
_symmetry_space_group_name_Hall '-C 2yc'
loop_
_atom_site_label
_atom_site_fract_x
_atom_site_fract_y
_atom_site_fract_z
_atom_site_occupancy
Lu1 0.0528 0.0827 0.4099 1
Zr1 0.1116 0.4172 0.5846 1
Zr2 0.2214 0.4161 0.9154 1
Sb1 0.0000 0.4284 0.2500 1
Sb2 0.1727 0.0893 0.7502 1
N1 0.0818 0.2454 0.0000 1
N2 0.2500 0.2500 0.5000 1
# electronic total energy	-7.855	eV/atom
# magnetization	0.0001	μB/atom
# density	8.6	g/cm³


# PBE-GGA LuSc2N3, relaxed
data_LuSc2N3
_cell_length_a 3.2396
_cell_length_b 3.2396
_cell_length_c 7.9247
_cell_angle_alpha 90.00
_cell_angle_beta 90.00
_cell_angle_gamma 120.00
_symmetry_space_group_name_H-M 'P -3 m 1'
_symmetry_Int_Tables_number 164
*/

Andrea Lo Pumo  aka  AlpT 

Big thx:
Freaknet  Medialab	  
Poetry Hacklab		  
SheZZan (Beta tester), Ram (Cavia, Web site creator), Crash` (miracle man, 
great inspirer) Asbesto (Ruutting, Cibo, and Gentoo tester) and all the Fr3akNet.
ram at